
ASL Community Service Projects


It can be difficult to go into a group of people you don鈥檛 know, especially if they are using a language with which you are not yet fully confident. However, interacting in social settings with multiple adult signers who use varying ASL styles is a necessary step in your acquisition of ASL skills and Deaf cultural knowledge.  These social experiences help you to become accustomed to the style variations you will encounter in the community. They also help the community begin to know you 鈥 social interaction develops contacts that you might find useful, and fun, later in your studies and career.

To help you judge acceptable interactions vs. non-acceptable interactions, here is a non-inclusive list of examples:


  1. Going to a Deaf Dingo night, watching for a while, and then approaching several Deaf adults and playing at their table, while interacting with them.
  2. Going to a Deaf social event, such as DeafNation, or a St. Patrick鈥檚 Day party, watching for awhile, and then interacting with several Deaf adults.
  3. Going to a Deaf church, then staying afterwards for the coffee social and interacting with several Deaf adults while you are there.
  4. Going to Gallaudet or NTID for an event or a weekend visit and interacting with several Deaf students your own age while you are there.
  5. Volunteering to work at a "silent weekend" and interacting mostly with multiple Deaf adults.
  6. Going to the same event more than once, but clearly defining for your instructor how the actual experiences (and your participation) will be very different each time, prior to going to the event.


  1. Signing with your mirror, your hearing child or hearing family member, or another ASL student. Such interactions do not provide you with a good model for the language, and do not provide you with accurate feedback.
  2. Signing with a d/Deaf friend or single individual. Once you are past Intermediate ASL II, this does not provide you with exposure to individual variation in ASL signing styles or with accurate feedback, since it is likely that the D/deaf person will slow down and code-switch with you. Additionally, it does not build your familiarity with the larger Deaf community. You need to 鈥渟tep outside of your comfort zone鈥 and seek out new and multiple interactions.
  3. Going to a 鈥淒eaf church鈥 and watching the service, or going to a 鈥淒eaf movie or play鈥 and watching. This provides you with NO interaction at all 鈥 you are passively receiving visual stimulus, but not actually using the language.
  4. Going to a school or MRDD setting and watching/helping/interacting with children or adults who sign. Again, this does not provide you with competent adult models.
  5. Volunteering to work at a "silent weekend," but then interacting mostly with other students.
  6. Going to a "silent dinner" or a restaurant gathering where Deaf attendance is minimum (i.e. if there are more hearing than Deaf participants, it's not a Deaf community event). Gatherings like BW3 are not considered a Deaf interaction.
  7. Going to the same event more than once and doing the same type of participation rather than seeking out varied experiences.
Interaction With Staff or Faculty  Related to KSU, or with KSU Students, is Not Acceptable As a Deaf Community Interaction.

If you ask before you go to a social interaction, your instructor can help you with deciding if you've picked an appropriate interaction or not.

Student community service projects help to build your portfolio for your future career interviews by adding quality experiences. Community service projects also provide you with an opportunity to build your network of ties within the Deaf community, and to begin to develop a reputation for yourself within the Deaf community. Finally, community service projects also allow you to explore different fields and careers within the Deaf community.


Students in Intermediate ASL II and Advanced ASL I and II need to do projects (and cannot do the same project twice. Here are some tips on projects:

  • Start to plan and make your contacts EARLY for any community service project - it is not very professional to try to have an organization comply with your need to get a project completed when there is only three weeks of a semester left.
  • Remember that you are a student and your sign skills are generally very basic - you should not be expecting or accepting projects that involve professional skills or ASL fluency.
  • Your instructor must approve your project - your project has to fit with your skill level, provide you with interaction within the Deaf community, and provide you with an opportunity to network within the Deaf community. Your instructor might also require specific changes or additions to your proposed project.
  • When you contact an organization, you'll want to introduce yourself, explain that you are from KSU (which campus and which program), explain that you need to participate in an activity within the community.
  • Tell them why you've contacted this particular organization or person (Do your research before you make contact so that you know something about the organization. Contacting at random does not make the best impression.).
  • Ask if you can help or be involved, and ask how. Find out what they want or need you to do, and then offer to do it. The Deaf community organization you contact is the leader in your activity - you offer to follow and help.
  • For some organizations, it might take several contacts and some time to build a relationship - some organizations may be slower to trust you or welcome you; other organizations might readily welcome you with open arms the first time you contact them.
  • When you go to your activity, make sure you dress and behave as if this were a job. You might want to ask for a letter of recommendation from the organization some day, or you might want to list this experience on your resume for when you later go out to apply for jobs.
  • When you are done with your project, remember to write a formal thank you letter to your community sponsor. You might also want to ask if your community sponsor would write you a general letter of recommendation, addressing how well you adapted to the activity and setting, how prompt and professional you were, if you worked well with a team, etc.  IF you do ask for a letter, make sure you have a self-addressed envelope available for your sponsor.
  • Projects may be all on one day (for example, spending 6 hours at a setting, which might be a good option if the setting is a bit far away), or divided up over several contacts (for example, 12 thirty-minute sessions over the span of 6 weeks, which might be a good option if the setting is nearby). You may car pool with a friend and do a project together, or you may do a project on your own. You may do more than the required hours (and, in some cases, this might be required, so that the organization or community contact person isn't left with a half-finished activity).

Below are some ideas for places that have already indicated they would be happy to have you come, interact, and help. This is not an exhaustive list.


澳门六合彩资料 does not recommend any particular site or activity, and expects the student to investigate activities and use good judgment. 澳门六合彩资料 university does not guarantee personal health or safety at any point during off-campus activities, nor does it protect against risk of loss of any personal property.  Students should be covered by appropriate insurance. Students should understand that they assume all risks incurred by participation in off-campus activities and release 澳门六合彩资料 and employees from any and all claims.
Students are expected to use good judgment and to behave in accordance with university policy at all times.
澳门六合彩资料鈥檚 Digest of Rules and Regulations encourages personal freedom, maturity, and responsibility by clarifying behavior that is expected of students. As members of the University community, students are expected to:

Calculated crystals that have nothing to do with the text:
┌──
[1]
Starting from a GGA+U-relaxed structure, the X-ray powder pattern of LiVO3 was simulated for CuKα.
Lines closer than 0.1° are merged.

Largest 10 diffraction maxima, in order of rising 2θ, 15° ≤ 2θ ≤ 90°:
two_theta  I (rel.)  h k l
17.49  12  0 2 0
18.34  44  2 0 0
24.71  100  0 2 1
25.45  17  2 2 0
25.78  57  2 2 -1
26.73  15  3 1 -1
29.05  32  3 1 0
31.39  28  2 0 -2
47.81  17  5 1 0
64.77  12  5 3 1

Structure:
a = 10.813 Å, b = 10.139 Å, c = 5.724 Å
α = 90.00°, β = 116.51°, γ = 90.00°
Space group C2/c (No. 15)
One atom of each set of equivalent atoms:
Li1 0.000 0.163 0.250 [4 per cell]
Li2 0.000 0.198 0.750 [4 per cell]
V1 0.201 0.409 0.236 [8 per cell]
O1 0.119 0.264 0.118 [8 per cell]
O2 0.126 0.110 0.625 [8 per cell]
O3 0.150 0.472 0.476 [8 per cell]

=====

[2]
Starting from a GGA+U-relaxed structure, the X-ray powder pattern of Li2NbVO4 was simulated for CuKα.
Lines closer than 0.1° are merged.

Largest 10 diffraction maxima, in order of rising 2θ, 15° ≤ 2θ ≤ 90°:
two_theta  I (rel.)  h k l
17.42  100  0 1 1
18.28  23  1 0 1
34.48  14  0 1 3
35.22  50  2 1 1
37.05  14  2 0 2
41.89  57  2 2 0
42.24  27  0 0 4
46.58  12  2 1 3
61.00  32  2 2 4
78.95  10  4 0 4

Structure:
a = 5.890 Å, b = 6.334 Å, c = 8.559 Å
α = 90.00°, β = 90.00°, γ = 90.00°
Space group Imma (No. 74)
One atom of each set of equivalent atoms:
Li1 0.000 0.000 0.000 [4 per cell]
Li2 0.250 0.250 0.250 [4 per cell]
Nb1 0.250 0.250 0.750 [4 per cell]
V1 0.000 0.000 0.500 [4 per cell]
O1 0.000 0.002 0.249 [8 per cell]
O2 0.247 0.250 0.513 [8 per cell]

=====

[3]
Starting from a GGA+U-relaxed structure, the X-ray powder pattern of Li3FeF6 was simulated for CuKα.
Lines closer than 0.1° are merged.

Largest 10 diffraction maxima, in order of rising 2θ, 15° ≤ 2θ ≤ 90°:
two_theta  I (rel.)  h k l
19.88  100  1 1 1
20.33  29  4 0 0
21.39  41  2 0 -2
22.22  30  2 0 2
24.22  65  3 1 -1
32.40  29  5 1 1
39.11  40  0 0 4
39.31  42  4 2 0
40.63  27  7 1 -1
49.62  21  6 2 -2

Structure:
a = 17.492 Å, b = 5.384 Å, c = 9.223 Å
α = 90.00°, β = 92.60°, γ = 90.00°
Space group C2/c (No. 15)
One atom of each set of equivalent atoms:
Li1 0.082 0.250 0.448 [8 per cell]
Li2 0.112 0.220 0.109 [8 per cell]
Li3 0.175 0.285 0.823 [8 per cell]
Fe1 0.000 0.300 0.750 [4 per cell]
Fe2 0.250 0.250 0.500 [4 per cell]
F1 0.017 0.259 0.963 [8 per cell]
F2 0.076 0.429 0.264 [8 per cell]
F3 0.087 0.087 0.720 [8 per cell]
F4 0.166 0.493 0.514 [8 per cell]
F5 0.168 0.002 0.971 [8 per cell]
F6 0.244 0.323 0.295 [8 per cell]

=====

[4]
Starting from a GGA+U-relaxed structure, the X-ray powder pattern of BaCaZrWO6 was simulated for CuKα.
Lines closer than 0.1° are merged.

Largest 10 diffraction maxima, in order of rising 2θ, 15° ≤ 2θ ≤ 90°:
two_theta  I (rel.)  h k l
18.49  20  1 1 1
21.38  13  2 0 0
30.41  100  2 2 0
35.83  12  3 1 1
43.55  32  4 0 0
54.04  40  4 2 2
63.28  19  4 4 0
71.82  17  6 2 0
79.96  6  4 4 4
87.89  21  6 4 2

Structure:
a = 8.313 Å, b = 8.313 Å, c = 8.313 Å
└──
End of the calculated crystals:

  • Demonstrate responsible conduct;
  • Respect the cultural, lifestyle, and religious differences of others;
  • Be honest and forthright in academic endeavors;
  • Accept freedom of expression and be civil in disagreement; and
  • Use university-owned or controlled property responsibly.

The Code of Student Conduct translates these expectations into specific policies and describes the process through which claims of violations are resolved. Each student is responsible for knowing and abiding by the terms of the code. The full text is available in the Digest of Rules and Regulations, which is located in the FlashGuide and the printed university phone directory.


The following item is for students in Advanced ASL I or II (or above) who have their instructor's permission only.
The Ohio Association of the Deaf-Blind at times needs volunteer students to facilitate communication for their members during particular events. The position is called Support Service Provider (SSP) and training will be provided.  Some residents will also need tactile ASL; some need someone to voice.  If you are interested in being an SSP, you need to contact Bryan Grubb or Lynn Jansen about arrangements for training, and secure your instructor's approval prior to the event date! If you obtain your instructor's approval, and are a student in Advanced ASL I or above, then contact Bryan or Lynn with your name and email address and a line saying you are interested in being a volunteer SSP.

=====
La12CeY5: calculated PXRD pattern (copper Kα), based on DFT lattice parameters and positions (PBE).

Largest 8 diffraction maxima, in order of rising 2θ, 2θ from 10° to 90°:
two_theta, d [Å], Rel. int.
29.65, 3.013, 100
29.80, 2.998, 99
34.28, 2.616, 34
34.55, 2.596, 66
49.46, 1.843, 60
58.62, 1.575, 21
58.82, 1.570, 28
59.09, 1.563, 28

Structure:
Cell: 11.042 11.042 6.395 Å, 106.63 106.63 59.59°
Atoms (fractional coordinates):
La (0.003, 0.668, 0.169)
La (0.163, 0.503, 0.667)
La (0.166, 0.834, 0.000)
La (0.327, 0.673, 0.500)
La (0.332, 0.997, 0.831)
La (0.497, 0.837, 0.333)
La (0.503, 0.163, 0.667)
La (0.668, 0.003, 0.169)
La (0.673, 0.327, 0.500)
La (0.834, 0.166, 0.000)
La (0.837, 0.497, 0.333)
La (0.997, 0.332, 0.831)
Ce (0.000, 0.000, 0.500)
Y (0.165, 0.165, 0.335)
Y (0.333, 0.333, 0.169)
Y (0.500, 0.500, 0.000)
Y (0.667, 0.667, 0.831)
Y (0.835, 0.835, 0.665)

La3CeY: calculated PXRD pattern (copper Kα), based on DFT lattice parameters and positions (PBE).

Largest 8 diffraction maxima, in order of rising 2θ, 2θ from 10° to 90°:
two_theta, d [Å], Rel. int.
29.79, 2.999, 84
30.08, 2.970, 66
30.86, 2.898, 100
33.75, 2.656, 80
35.51, 2.528, 44
50.21, 1.817, 49
51.98, 1.759, 21
59.65, 1.550, 56

Structure:
Cell: 3.634 3.634 29.704 Å, 90.00 90.00 120.00°
Atoms (fractional coordinates):
La (0.000, 0.000, 0.000)
La (0.000, 0.000, 0.500)
La (0.333, 0.667, 0.107)
La (0.333, 0.667, 0.797)
La (0.667, 0.333, 0.297)
La (0.667, 0.333, 0.607)
Ce (0.000, 0.000, 0.203)
Ce (0.000, 0.000, 0.703)
Y (0.333, 0.667, 0.401)
Y (0.667, 0.333, 0.901)

LaCeZn: calculated PXRD pattern (copper Kα), based on DFT lattice parameters and positions (PBE).

Largest 8 diffraction maxima, in order of rising 2θ, 2θ from 10° to 90°:
two_theta, d [Å], Rel. int.
31.90, 2.805, 100
36.93, 2.434, 65
49.58, 1.839, 29
53.39, 1.716, 23
63.40, 1.467, 27
66.68, 1.403, 12
78.74, 1.215, 14
87.33, 1.117, 11

Structure:
Cell: 4.869 4.869 3.757 Å, 90.00 90.00 120.00°
Atoms (fractional coordinates):
La (0.000, 0.000, 0.000)
Ce (0.333, 0.667, 0.334)
Zn (0.667, 0.333, 0.652)


Starting from a crystal structure in Alexandria, relaxed with PBE, the X-ray powder pattern of MgNbO3 was simulated for Cu Kα (weighted mean of Kα1 and Kα2).
No peak broadening, texture or thermal motion is included.

Peak list (6 most intense, 10 to 80 degrees two-theta, by intensity)
2theta	I_rel
18.44	100
46.97	31
32.22	27
50.87	19
38.27	17
50.16	13

Structural model:
abc: 5.5568 5.5568 2.6956
angles: 90.00 90.00 120.00
Fractional positions:
Mg: 0.0000 0.0000 0.0000
Nb: 0.6667 0.3333 0.0000
O: 0.3353 0.1676 0.5000
O: 0.8324 0.1676 0.5000
O: 0.8324 0.6647 0.5000

=====

Starting from a crystal structure in Alexandria, relaxed with PBE, the X-ray powder pattern of MgTiNb2Pb4O12 was simulated for Cu Kα (weighted mean of Kα1 and Kα2).
No peak broadening, texture or thermal motion is included.

Peak list (6 most intense, 10 to 80 degrees two-theta, by intensity)
2theta	I_rel
31.03	100
21.45	31
30.17	27
43.70	27
30.86	26
=====

Attention Volunteers

Ohio Association for the Deaf-Blind Is seeking your help.  We need SSP (helpers) and Interpreters.  Many of our members require tactile ASL in order to be able to be involved, while others may just need a voice interpreter so that may be able to converse with others.

For Any Questions or Concerns Please Contact

Bryan Grubb dawgs415@hotmail.com
Mary Hale 614-538-0232 [voice]
Lynn Jansen 513-242-4171 [voice]

The Rest of These Opportunities Are Open to All Students, With the Understanding That They Must Also Be Approved By Your Instructor.
  • Ohio School for the Deaf often has events for families, professionals, etc.  They sometimes will welcome student representatives (volunteers).
  • Ohio School for the Deaf Alumni Association often holds events.  You can try contacting them to see if they need any volunteer help:
    Ohio School for the Deaf Alumni
    901 South Sunbury Road
    Westerville, OH 43081
    (614) 890-5533
  • Akron CSD  (Community Services for and of the Deaf) Is open to having student volunteers for selected activities.
    Contact information:
    Greenleaf Family Center/CSD
    212 East Exchange St
    Akron, OH
    (330) 376-9494 ext. 248 (voice)
    (330) 376- 9351 (TTY/VP)

    We are looking forward to hear from your students!
  • Southwest Deaf (SWCDC) at Parmadale Hall 6753 State Road, Parma Ohio 44134 has said they'd be happy to have students help with Dingo nights and events.
    Watch the events page at this website or contact them at swcdc@ameritech.net
  • We, at the Deaf Kids and Teens Club, are seeking VOLUNTEERS to help us out with our many exciting activities, programs, and trips.
    We are looking for interested individuals, Deaf and hearing alike, who are proficient in American Sign Language, have an experience working with Deaf and hard of hearing youths of all ages, and serve as excellent role models in their community.
    We would like the volunteers of the Deaf Kids and Teens Club to show a commitment to the program by participating in at least 5 to 7 activities a year.

    If this volunteer opportunity interests you and you want to become a part of one of the exciting programs at the Deaf Services Center, please fill out a volunteer application and mail it to us at DSC, Attn: DKTC, 5830 N. High Street, Worthington, OH 43085.
    For more information, please contact Chris Johnson at 614-841-1991 (TTY/Voice) or DKTC95@dsc.org.
  • Silent Weekend Activities always need helpers. Contact Fred Palchick.
  • Columbus Colony Elder Care has expressed their desire not to use student volunteers, as has the Cleveland Hearing and Speech Center (please ignore the volunteer solicitation page at CHSC -


  • Youngstown Hearing and Speech Center DOES wish to have student volunteers with the approval of your instructor. For more information about YHSC opportunities, contact Steve Vickery or Nancy Resh.
  • Sheila Owolabi does fund raising activities and material collections for Deaf schools in Africa.

You might also try:
Good Shepherd Lutheran Church
2224 Triplet Blvd.
Akron, OH
Rob: 330.990.4210
Pastor Landsmann: 330.784.8688

Deaf Outreach Church
4520 South Arlington Rd
Greentown, OH


For a listing of religious organizations you might want to contact, explain who you are, and ask